• Input:
<<<
This record from the Open Molecules 2025 dataset describes a 9-piece molecular cluster, C38H61F18NO18 overall. The level of theory is ωB97M-V with the def2-TZVPD basis set.

Each line ends with the Mulliken charge.
Positions of all 136 atoms, in Å:
F  16.987  -13.857  -10.687  -0.235
F  15.867  -14.941  -12.185  -0.255
F  9.746  -20.494  -11.810  -0.258
F  22.072  -15.961  -5.940  -0.229
F  22.129  -16.168  -3.783  -0.262
F  11.831  -19.625  -0.740  -0.291
F  20.137  -20.225  -8.054  -0.303
F  23.359  -17.427  -5.030  -0.255
F  19.482  -18.261  -8.544  -0.237
F  8.336  -20.568  -1.929  -0.241
F  12.774  -20.628  -2.431  -0.185
F  12.831  -18.470  -2.233  -0.354
F  19.596  -19.727  -10.117  -0.270
F  11.635  -21.527  -11.952  -0.247
F  11.622  -19.406  -12.039  -0.240
F  6.593  -19.405  -2.435  -0.251
F  14.879  -13.432  -11.012  -0.246
F  8.141  -18.528  -1.138  -0.234
O  12.185  -20.204  -9.380  -0.318
O  14.317  -15.381  -9.310  -0.391
O  8.528  -19.245  -4.492  -0.550
O  17.349  -20.162  -7.532  -0.419
O  16.191  -16.452  -9.838  -0.530
O  9.378  -17.663  -3.160  -0.349
O  13.962  -20.075  0.489  -0.232
O  13.839  -15.630  -0.357  -0.284
O  21.369  -19.033  -4.615  -0.347
O  9.966  -20.554  -9.356  -0.354
O  15.957  -15.902  -5.508  -0.049
O  14.912  -14.528  -3.049  -0.474
O  16.881  -23.152  -2.442  -0.420
O  15.264  -23.697  -4.901  -0.401
O  14.556  -23.033  -7.904  -0.440
O  17.101  -19.681  -9.693  -0.267
O  19.948  -17.549  -5.533  -0.432
O  15.251  -19.680  -1.310  -0.588
N  12.960  -19.016  -5.574  -0.356
C  13.975  -16.382  -8.330  1.449
C  17.378  -22.186  -1.510  -0.025
C  15.714  -20.022  -9.767  1.134
C  15.797  -14.388  -10.956  0.807
C  8.629  -18.745  -3.410  0.275
C  13.203  -23.368  -8.089  -0.723
C  15.640  -21.180  -10.752  -1.563
C  15.079  -15.816  -1.000  -0.725
C  19.242  -20.158  -4.011  -0.846
C  19.291  -19.557  -8.830  0.823
C  10.402  -17.292  -4.099  0.170
C  12.872  -19.630  -1.569  0.868
C  17.019  -15.993  -6.437  -0.689
C  22.162  -16.831  -4.945  0.834
C  15.425  -14.584  -5.433  -0.504
C  21.016  -17.872  -5.104  0.354
C  14.442  -22.692  -5.396  0.565
C  15.484  -19.186  -4.964  1.566
C  14.496  -20.146  2.772  -1.350
C  20.527  -20.164  -4.824  -0.040
C  14.987  -24.088  -3.589  -0.775
C  11.131  -16.166  -3.348  -0.829
C  14.187  -19.747  -0.773  0.432
C  12.690  -15.845  -7.701  -1.323
C  14.927  -15.846  -2.514  0.709
C  17.809  -19.896  -8.606  0.259
C  15.044  -20.339  1.373  -0.050
C  15.436  -15.536  -9.997  0.487
C  7.902  -19.333  -2.175  0.904
C  14.802  -22.216  -6.790  -0.101
C  14.376  -14.492  -4.354  0.258
C  13.848  -16.111  0.955  -0.710
C  11.138  -20.374  -9.933  0.393
C  11.037  -20.442  -11.471  0.756
C  9.875  -20.432  -7.953  -0.272
C  15.469  -23.147  -2.503  0.421
C  10.007  -18.992  -7.436  0.226
C  14.071  -19.103  -5.296  -0.294
H  18.342  -22.532  -1.136  0.337
H  15.588  -19.201  -3.877  -0.088
H  15.238  -19.132  -10.181  0.086
H  18.710  -21.111  -4.057  0.461
H  14.305  -17.099  1.088  0.125
H  20.375  -20.233  -5.901  0.008
H  12.536  -22.506  -8.014  0.196
H  15.594  -16.741  -0.712  0.253
H  15.427  -25.069  -3.407  0.354
H  14.963  -14.269  -6.376  0.234
H  9.982  -16.927  -5.036  0.611
H  15.826  -15.059  -0.728  0.416
H  14.768  -16.369  -7.584  -0.692
H  13.559  -20.668  2.969  0.329
H  12.751  -14.783  -7.478  0.438
H  15.040  -22.147  -2.655  -0.267
H  15.199  -20.466  3.540  0.405
H  16.273  -21.987  -10.377  0.373
H  9.788  -18.897  -6.376  -0.417
H  13.904  -24.221  -3.463  0.399
H  15.908  -19.700  1.193  0.301
H  13.868  -17.344  -8.827  0.149
H  15.361  -21.381  1.278  0.279
H  12.911  -24.132  -7.358  0.346
H  15.730  -16.500  -2.873  0.042
H  19.607  -20.132  -2.980  0.449
H  15.851  -21.920  -6.814  0.041
H  16.789  -15.653  -7.452  0.169
H  17.898  -15.412  -6.144  0.437
H  14.251  -19.094  2.936  0.290
H  14.241  -21.281  -6.932  0.163
H  18.516  -19.397  -4.278  0.057
H  16.652  -22.151  -0.697  -0.019
>>>

• What to do:
Reproduce the rows above character by character, please.

• Completed:
This record from the Open Molecules 2025 dataset describes a 9-piece molecular cluster, C38H61F18NO18 overall. The level of theory is ωB97M-V with the def2-TZVPD basis set.

Each line ends with the Mulliken charge.
Positions of all 136 atoms, in Å:
F  16.987  -13.857  -10.687  -0.235
F  15.867  -14.941  -12.185  -0.255
F  9.746  -20.494  -11.810  -0.258
F  22.072  -15.961  -5.940  -0.229
F  22.129  -16.168  -3.783  -0.262
F  11.831  -19.625  -0.740  -0.291
F  20.137  -20.225  -8.054  -0.303
F  23.359  -17.427  -5.030  -0.255
F  19.482  -18.261  -8.544  -0.237
F  8.336  -20.568  -1.929  -0.241
F  12.774  -20.628  -2.431  -0.185
F  12.831  -18.470  -2.233  -0.354
F  19.596  -19.727  -10.117  -0.270
F  11.635  -21.527  -11.952  -0.247
F  11.622  -19.406  -12.039  -0.240
F  6.593  -19.405  -2.435  -0.251
F  14.879  -13.432  -11.012  -0.246
F  8.141  -18.528  -1.138  -0.234
O  12.185  -20.204  -9.380  -0.318
O  14.317  -15.381  -9.310  -0.391
O  8.528  -19.245  -4.492  -0.550
O  17.349  -20.162  -7.532  -0.419
O  16.191  -16.452  -9.838  -0.530
O  9.378  -17.663  -3.160  -0.349
O  13.962  -20.075  0.489  -0.232
O  13.839  -15.630  -0.357  -0.284
O  21.369  -19.033  -4.615  -0.347
O  9.966  -20.554  -9.356  -0.354
O  15.957  -15.902  -5.508  -0.049
O  14.912  -14.528  -3.049  -0.474
O  16.881  -23.152  -2.442  -0.420
O  15.264  -23.697  -4.901  -0.401
O  14.556  -23.033  -7.904  -0.440
O  17.101  -19.681  -9.693  -0.267
O  19.948  -17.549  -5.533  -0.432
O  15.251  -19.680  -1.310  -0.588
N  12.960  -19.016  -5.574  -0.356
C  13.975  -16.382  -8.330  1.449
C  17.378  -22.186  -1.510  -0.025
C  15.714  -20.022  -9.767  1.134
C  15.797  -14.388  -10.956  0.807
C  8.629  -18.745  -3.410  0.275
C  13.203  -23.368  -8.089  -0.723
C  15.640  -21.180  -10.752  -1.563
C  15.079  -15.816  -1.000  -0.725
C  19.242  -20.158  -4.011  -0.846
C  19.291  -19.557  -8.830  0.823
C  10.402  -17.292  -4.099  0.170
C  12.872  -19.630  -1.569  0.868
C  17.019  -15.993  -6.437  -0.689
C  22.162  -16.831  -4.945  0.834
C  15.425  -14.584  -5.433  -0.504
C  21.016  -17.872  -5.104  0.354
C  14.442  -22.692  -5.396  0.565
C  15.484  -19.186  -4.964  1.566
C  14.496  -20.146  2.772  -1.350
C  20.527  -20.164  -4.824  -0.040
C  14.987  -24.088  -3.589  -0.775
C  11.131  -16.166  -3.348  -0.829
C  14.187  -19.747  -0.773  0.432
C  12.690  -15.845  -7.701  -1.323
C  14.927  -15.846  -2.514  0.709
C  17.809  -19.896  -8.606  0.259
C  15.044  -20.339  1.373  -0.050
C  15.436  -15.536  -9.997  0.487
C  7.902  -19.333  -2.175  0.904
C  14.802  -22.216  -6.790  -0.101
C  14.376  -14.492  -4.354  0.258
C  13.848  -16.111  0.955  -0.710
C  11.138  -20.374  -9.933  0.393
C  11.037  -20.442  -11.471  0.756
C  9.875  -20.432  -7.953  -0.272
C  15.469  -23.147  -2.503  0.421
C  10.007  -18.992  -7.436  0.226
C  14.071  -19.103  -5.296  -0.294
H  18.342  -22.532  -1.136  0.337
H  15.588  -19.201  -3.877  -0.088
H  15.238  -19.132  -10.181  0.086
H  18.710  -21.111  -4.057  0.461
H  14.305  -17.099  1.088  0.125
H  20.375  -20.233  -5.901  0.008
H  12.536  -22.506  -8.014  0.196
H  15.594  -16.741  -0.712  0.253
H  15.427  -25.069  -3.407  0.354
H  14.963  -14.269  -6.376  0.234
H  9.982  -16.927  -5.036  0.611
H  15.826  -15.059  -0.728  0.416
H  14.768  -16.369  -7.584  -0.692
H  13.559  -20.668  2.969  0.329
H  12.751  -14.783  -7.478  0.438
H  15.040  -22.147  -2.655  -0.267
H  15.199  -20.466  3.540  0.405
H  16.273  -21.987  -10.377  0.373
H  9.788  -18.897  -6.376  -0.417
H  13.904  -24.221  -3.463  0.399
H  15.908  -19.700  1.193  0.301
H  13.868  -17.344  -8.827  0.149
H  15.361  -21.381  1.278  0.279
H  12.911  -24.132  -7.358  0.346
H  15.730  -16.500  -2.873  0.042
H  19.607  -20.132  -2.980  0.449
H  15.851  -21.920  -6.814  0.041
H  16.789  -15.653  -7.452  0.169
H  17.898  -15.412  -6.144  0.437
H  14.251  -19.094  2.936  0.290
H  14.241  -21.281  -6.932  0.163
H  18.516  -19.397  -4.278  0.057
H  16.652  -22.151  -0.697  -0.019